Contents.
'''
1.
Computed, not measured: a geometry-optimized V6CuO15 structure at the PBE with a Hubbard U level of DFT.

Cell: 7.3732 7.9270 10.2728 Å, 106.68 90.01 103.42°
Sites, in units of the cell vectors:
1 V 0.0000 0.0000 0.0000
2 V 0.0224 0.0894 0.6840
3 V 0.1099 0.4360 0.9708
4 V 0.2250 0.8906 0.2108
5 V 0.3090 0.2421 0.4984
6 V 0.3332 0.3299 0.1823
7 V 0.5002 0.9951 0.9938
8 V 0.5221 0.0968 0.6852
9 V 0.6125 0.4401 0.9736
10 V 0.7243 0.8944 0.2093
11 V 0.8084 0.2332 0.4971
12 V 0.8335 0.3359 0.1881
13 Cu 0.3764 0.7115 0.4591
14 Cu 0.8545 0.6187 0.7233
15 O 0.0374 0.1506 0.8670
16 O 0.0427 0.1758 0.5173
17 O 0.0628 0.2815 0.1333
18 O 0.1101 0.4678 0.8215
19 O 0.1667 0.6659 0.0922
20 O 0.2313 0.8580 0.3630
21 O 0.2695 0.0466 0.0492
22 O 0.2893 0.1558 0.6652
23 O 0.2959 0.1797 0.3160
24 O 0.3507 0.3997 0.0059
25 O 0.3623 0.4629 0.5483
26 O 0.3760 0.5332 0.2991
27 O 0.4485 0.7976 0.8826
28 O 0.4607 0.8720 0.6272
29 O 0.4828 0.9287 0.1716
30 O 0.5374 0.1476 0.8698
31 O 0.5450 0.1785 0.5187
32 O 0.5822 0.2975 0.1383
33 O 0.6339 0.4682 0.8193
34 O 0.6665 0.6650 0.0902
35 O 0.7101 0.8681 0.3611
36 O 0.7512 0.0358 0.0437
37 O 0.7865 0.1512 0.6635
38 O 0.7952 0.1835 0.3119
39 O 0.8519 0.4022 0.0105
40 O 0.8589 0.4582 0.5552
41 O 0.8878 0.5330 0.2996
42 O 0.9460 0.7970 0.8829
43 O 0.9656 0.8686 0.6341
44 O 0.9831 0.9307 0.1764

Total magnetization ... 0.998 μB per formula unit
Total energy after the MP2020 corrections ... -8.24 eV/atom
Energy of formation from the pure elements ... -2.1987 eV per atom



2.
Computed, not measured: a geometry-optimized Sr7CaTi3Mn5O20 structure at the PBE with a Hubbard U level of DFT.

Cell: 11.1894 11.3414 17.8173 Å, 71.48 71.86 89.92°
Sites, in units of the cell vectors:
1 Sr 0.0000 0.0000 0.0000
2 Sr 0.0014 0.9998 0.4986
3 Sr 0.0019 0.4961 0.9976
4 Sr 0.1108 0.6254 0.2736
5 Sr 0.1135 0.1254 0.7748
6 Sr 0.1167 0.6185 0.7746
7 Sr 0.2458 0.2598 0.9997
8 Sr 0.2477 0.7577 0.0001
9 Sr 0.2530 0.7598 0.4983
10 Sr 0.2560 0.2600 0.4990
11 Sr 0.3548 0.3605 0.7760
12 Sr 0.3582 0.8596 0.2749
13 Sr 0.3593 0.8603 0.7755
14 Sr 0.3646 0.3572 0.2751
15 Sr 0.4968 0.4991 0.9978
16 Sr 0.4975 0.9970 0.9982
17 Sr 0.4994 0.0000 0.4961
18 Sr 0.5014 0.4985 0.4965
19 Sr 0.6042 0.6214 0.7764
20 Sr 0.6063 0.1225 0.7770
21 Sr 0.7454 0.7577 0.0006
22 Sr 0.7464 0.2602 0.0016
23 Sr 0.7464 0.2639 0.4953
24 Sr 0.7488 0.7594 0.4958
25 Sr 0.8584 0.8627 0.7758
26 Sr 0.8601 0.3570 0.2738
27 Sr 0.8635 0.3589 0.7758
28 Sr 0.9992 0.5012 0.4975
29 Ca 0.1111 0.1245 0.2797
30 Ca 0.6157 0.6215 0.2761
31 Ca 0.6191 0.1301 0.2754
32 Ca 0.8670 0.8562 0.2768
33 Ti 0.0518 0.8112 0.3892
34 Ti 0.0536 0.8102 0.8868
35 Ti 0.0567 0.3104 0.3889
36 Ti 0.3074 0.0601 0.3838
37 Ti 0.3089 0.5626 0.3842
38 Ti 0.5503 0.3091 0.8877
39 Ti 0.5513 0.8105 0.8868
40 Ti 0.5619 0.8131 0.3775
41 Ti 0.8043 0.0611 0.8879
42 Ti 0.8047 0.0602 0.3874
43 Ti 0.8046 0.5603 0.3828
44 Ti 0.8064 0.5631 0.8822
45 Mn 0.0543 0.3086 0.8874
46 Mn 0.1916 0.9645 0.6366
47 Mn 0.1930 0.4659 0.6340
48 Mn 0.1932 0.9673 0.1416
49 Mn 0.1949 0.4586 0.1411
50 Mn 0.3021 0.0596 0.8880
51 Mn 0.3026 0.5597 0.8882
52 Mn 0.4442 0.6532 0.1388
53 Mn 0.4458 0.1564 0.1388
54 Mn 0.4490 0.1557 0.6360
55 Mn 0.4494 0.6597 0.6317
56 Mn 0.5553 0.3119 0.3831
57 Mn 0.6948 0.4658 0.6368
58 Mn 0.6948 0.9656 0.6364
59 Mn 0.6968 0.4630 0.1357
60 Mn 0.6976 0.9644 0.1394
61 Mn 0.9385 0.6561 0.1367
62 Mn 0.9436 0.1574 0.6374
63 Mn 0.9450 0.6567 0.6367
64 Mn 0.9456 0.1492 0.1429
65 O 0.1067 0.8524 0.7619
66 O 0.1098 0.8581 0.2546
67 O 0.1115 0.3555 0.7536
68 O 0.1127 0.3508 0.2579
69 O 0.1170 0.6147 0.1389
70 O 0.1218 0.1310 0.1470
71 O 0.1263 0.1343 0.6348
72 O 0.1264 0.6359 0.6349
73 O 0.1701 0.1838 0.3950
74 O 0.1706 0.6877 0.3933
75 O 0.1725 0.6831 0.8944
76 O 0.1773 0.9334 0.8816
77 O 0.1769 0.9402 0.3753
78 O 0.1795 0.1778 0.8935
79 O 0.1793 0.4368 0.3769
80 O 0.1857 0.4403 0.8829
81 O 0.2244 0.9731 0.0303
82 O 0.2298 0.4724 0.0288
83 O 0.2331 0.4804 0.5084
84 O 0.2332 0.9765 0.5096
85 O 0.3448 0.1409 0.2615
'''

Activity.
Please search the calculation results earlier on for the word "Sites" and print each line that has it.

Result.
Sites, in units of the cell vectors:
Sites, in units of the cell vectors: